## Request
Could you retype only the lines below with the word "wB97M-V" in them?
## Material
____________
124
Properties=species:S:1:pos:R:3:forces:R:3 method="wB97M-V/def2-TZVPD" homo_ev="-0.2 / -7.0" multiplicity=2 lumo_energy_ev="2.324 / 2.315" orbital_gap_ev="2.516 / 9.296" charge=-1
S 3.831 -4.905 -0.673 -4.468 -1.390 -2.141
S 4.120 -1.465 3.455 0.095 0.062 -3.535
S 0.968 -0.303 -1.610 -0.811 0.622 -2.618
O -3.196 2.134 -4.558 -1.959 -0.343 0.243
O 0.662 -1.349 -0.334 0.222 -1.790 -1.503
O -1.704 -2.442 5.181 1.608 -0.622 -1.384
O 5.655 -1.698 2.780 -0.455 -0.069 1.919
O -2.460 -2.855 -4.571 0.311 0.406 -1.010
O -3.524 2.709 2.670 -0.022 0.788 -0.144
O -0.214 0.723 -1.029 -1.132 1.133 0.501
O 2.879 -5.640 0.193 2.418 2.228 -1.582
O 2.097 5.722 0.500 0.914 -0.059 0.786
O 0.601 -0.993 -2.870 0.496 -1.031 0.880
O 2.282 0.263 -1.450 1.483 -0.453 0.786
O 2.799 -1.333 -5.871 1.499 -0.373 0.234
O 3.776 -5.659 -2.113 0.328 -0.470 -0.029
O 3.425 -2.718 3.592 1.038 0.848 0.725
O 0.807 0.986 4.245 0.510 -2.687 -0.966
O 4.059 -0.446 4.488 0.916 -1.837 -1.866
O 3.637 -0.874 2.011 -0.139 0.750 0.690
O 3.166 -3.556 -1.400 0.794 -0.362 3.164
O 5.178 -4.692 -0.304 0.098 0.383 0.248
C 1.599 -2.062 -5.986 -1.162 0.952 1.233
C -0.199 2.389 5.658 -0.312 0.157 -0.193
C -0.507 0.556 0.348 -0.859 -0.468 1.365
C -2.412 -2.906 6.280 -0.914 0.689 0.925
C 2.726 3.389 0.413 -1.270 0.389 -1.043
C 2.996 -4.964 -3.126 -0.491 -0.647 0.091
C -2.364 -1.332 4.562 -0.827 -0.674 1.983
C 2.918 3.905 1.798 0.825 -0.086 0.656
C 2.570 0.080 -5.852 0.033 -0.456 -0.780
C -1.783 -3.919 -3.935 0.020 -0.616 0.531
C 3.026 5.423 1.575 -0.320 -0.415 0.248
C 1.868 4.533 -0.246 0.171 -1.389 -0.031
C -2.002 1.680 -3.919 0.560 1.354 -0.854
C -1.087 2.871 -4.087 1.111 0.382 0.240
C -4.279 1.861 3.488 0.364 -0.469 1.670
C 1.920 1.459 4.998 -1.090 0.759 -0.020
C -3.147 3.470 -5.036 1.408 -0.087 -0.438
C 1.394 0.214 -6.805 -0.324 0.182 -0.324
C -4.559 0.638 2.643 0.892 -0.279 1.342
C -0.222 1.905 4.256 -0.884 0.559 -0.839
C 0.555 -1.009 -6.418 -0.413 -0.057 0.233
C 1.288 2.541 5.824 -0.090 1.665 1.852
C 2.206 -3.935 -2.387 1.158 0.636 -0.111
C -2.909 -0.622 5.845 -1.168 1.146 -1.371
C 5.562 -2.199 1.426 -0.976 0.318 0.117
C -1.661 3.730 -5.179 0.030 0.111 -0.891
C -1.875 -3.642 -2.416 0.674 -0.018 0.187
C -4.744 1.294 1.354 -1.550 -1.031 -3.582
C -3.514 -2.438 -3.731 0.295 -0.122 0.551
C -2.891 -1.613 6.981 0.706 -0.495 0.267
C -4.125 2.688 1.368 0.450 -1.044 0.580
C -2.852 -2.496 -2.342 -1.510 0.544 0.443
C 0.211 -0.713 0.820 1.028 1.948 0.615
C 4.341 -1.398 0.834 0.279 -0.774 1.219
H -3.983 -1.497 -4.018 0.969 0.518 -0.157
H -5.358 -0.052 2.913 -0.133 0.356 0.262
H -1.848 -3.592 6.911 0.673 0.380 -0.187
H -3.613 3.537 -6.019 -0.450 -0.179 0.191
H 2.227 -5.620 -3.534 0.695 -0.594 -0.372
H 6.471 -1.946 0.880 0.055 0.313 0.398
H -0.102 2.514 -4.389 0.295 0.329 0.666
H -1.405 4.784 -5.070 0.039 0.014 0.037
H 1.671 -2.985 -6.563 0.465 0.466 -0.941
H 3.640 3.268 -0.168 0.114 -0.034 0.245
H -0.822 3.272 5.798 0.189 0.032 0.355
H -3.861 -1.747 7.460 0.066 0.093 0.032
H 2.836 6.058 2.441 -0.653 -0.092 0.013
H -3.941 -0.301 5.698 -0.072 0.188 -0.245
H 1.744 0.203 -7.837 0.142 -0.077 -0.045
H -1.749 -0.703 3.918 0.647 -0.343 0.424
H -2.168 -1.240 7.706 -0.026 -0.404 0.265
H -4.455 0.639 0.533 0.900 0.196 -0.183
H 2.458 0.479 -4.844 -0.618 -0.284 0.168
H -5.140 2.376 3.916 -0.431 0.030 -0.179
H 2.314 0.692 5.664 0.148 -0.183 -0.698
H 2.217 2.427 0.478 -0.028 0.017 -0.574
H 5.509 -3.287 1.408 -0.480 0.220 0.252
H -3.630 0.071 2.700 0.014 -0.155 -0.339
H -3.502 4.278 -4.397 -0.806 -0.463 0.574
H 2.125 -3.019 -2.973 -0.764 -0.069 0.059
H -0.550 1.533 6.234 -0.237 0.204 0.353
H -3.626 -2.721 -1.609 -0.021 0.181 0.255
H 1.519 2.456 6.885 0.462 0.256 -0.001
H 1.113 -0.379 1.334 -0.052 -0.212 0.628
H -0.729 -3.981 -4.207 0.010 0.591 -0.423
H -5.806 1.272 1.110 -0.401 0.814 0.296
H -0.886 -3.365 -2.052 -0.002 0.444 -0.118
H -1.325 3.418 -6.168 0.101 -0.124 -0.077
H -0.029 2.612 3.449 -0.032 0.868 0.203
H -3.299 2.828 0.672 -0.286 0.061 -0.178
H -4.382 -3.085 -3.858 -0.002 -0.880 0.405
____________
## Response
Properties=species:S:1:pos:R:3:forces:R:3 method="wB97M-V/def2-TZVPD" homo_ev="-0.2 / -7.0" multiplicity=2 lumo_energy_ev="2.324 / 2.315" orbital_gap_ev="2.516 / 9.296" charge=-1